== Source ==
Formula: C2H6FO2P
Source: OMol25
Level of theory: ωB97M-V with the def2-TZVPD basis set

Element x y z (Å)
1 C 1.04330 -2.10022 -0.04243
2 C -1.65301 2.11921 -0.02606
3 O 0.11660 -1.08086 -0.02326
4 O -1.25328 0.76875 0.21099
5 F 2.87093 0.18394 -0.80361
6 P 0.12833 0.25935 0.74290
7 H 0.60363 -2.90374 -0.61249
8 H 1.10133 -2.66784 0.91602
9 H 2.06327 -1.83550 -0.11881
10 H -2.57066 2.39579 0.47899
11 H -1.64492 2.14194 -1.12039
12 H -0.80551 2.71917 0.39814

Computed properties:
LUMO (alpha / beta) (eV): -1.881 / -1.881
Total charge: 0
Highest occupied orbital energy (alpha / beta) (eV): -8.305 / -8.302
Frontier orbital gap (alpha / beta) (eV): 6.4 / 6.4


Formula: C2H6I2N2O
Source: OMol25
Level of theory: ωB97M-V with the def2-TZVPD basis set

Element x y z (Å)
1 C 0.78805 1.18821 -0.64532
2 C -0.37489 -2.61256 -0.15590
3 N 0.60848 0.52802 0.58606
4 N 0.23217 -0.60444 0.70551
5 O 0.04385 -1.34317 -0.46323
6 I -1.23244 3.13940 2.91893
7 I -1.19554 4.44992 0.60429
8 H 1.54224 1.87741 -0.54066
9 H 1.04358 0.63322 -1.69153
10 H -0.03972 1.78699 -1.04836
11 H -0.25417 -2.79790 0.87066
12 H 0.27940 -3.39298 -0.75977
13 H -1.44101 -2.85212 -0.38067

Computed properties:
LUMO (eV): -1.650
Total charge: 0
Highest occupied orbital energy (eV): -9.294
Frontier orbital gap (eV): 7.6
SMILES: C/N=N\OC.II


Formula: C2H6I2OSi
Source: OMol25
Level of theory: ωB97M-V with the def2-TZVPD basis set

Element x y z (Å)
1 C -1.69003 -0.05275 1.34763
2 C 1.27911 1.12950 -1.44295
3 O -0.27976 -0.39377 1.28746
4 Si 0.64443 -0.80418 0.00390
5 I 2.61845 -1.72121 1.07858
6 I -0.58024 -2.43008 -1.38750
7 H -1.97188 -0.74298 2.07697
8 H -2.24005 -0.14158 0.49328
9 H -1.77624 0.93337 1.58514
10 H 1.79376 0.89660 -2.26999
11 H 0.26705 1.56090 -1.77610
12 H 1.93541 1.76616 -0.99643

Computed properties:
LUMO (eV): -0.172
Total charge: 0
Highest occupied orbital energy (eV): -9.241
Frontier orbital gap (eV): 9.1


Formula: C2H6IN2O
Source: OMol25
Level of theory: ωB97M-V with the def2-TZVPD basis set

Element x y z (Å)
1 C -0.00328 -0.13609 0.08456
2 C -1.30691 1.03591 0.09177
3 N -0.24663 -1.43509 0.22900
4 N 1.14466 0.41198 -0.28572
5 O 2.33557 -0.22019 -0.20204
6 I -3.23053 0.11142 0.20276
7 H -1.08614 1.74645 0.99643
8 H -1.24344 1.57409 -0.74828
9 H -1.11354 -1.78543 0.54540
10 H 0.48102 -2.26175 0.41986
11 H 1.39117 1.45865 -0.36968
12 H 2.87804 -0.49994 -0.96407

Computed properties:
LUMO (eV): -3.563
Total charge: +1
Highest occupied orbital energy (eV): -13.693
Frontier orbital gap (eV): 10.1
SMILES: N/C(CI)=[NH+]\O


Formula: C2H6INO2S
Source: OMol25
Level of theory: ωB97M-V with the def2-TZVPD basis set

Element x y z (Å)
1 C 1.95315 0.61196 -0.66530
2 C -2.52873 -1.71595 -0.20610
3 N 1.45023 0.69523 0.61297
4 O -0.78470 1.05063 -0.31631
5 O -0.65812 0.73869 2.10429
6 S -0.22669 0.33815 0.78886
7 I -3.75320 -0.04403 -0.34393
8 H 1.25980 0.93969 -1.44764
9 H 3.00464 1.14221 -0.81334
10 H 2.07495 -0.40059 -0.95714
11 H -1.53935 -1.53462 -0.74408
12 H -2.31592 -2.10208 0.69433
13 H 2.06392 0.28070 1.29338

Computed properties:
LUMO (alpha / beta) (eV): -2.449 / -0.719
Total charge: 0
Highest occupied orbital energy (alpha / beta) (eV): -8.545 / -9.408
Frontier orbital gap (alpha / beta) (eV): 6.1 / 8.7


Formula: C2H6IOPS
Source: OMol25
Level of theory: ωB97M-V with the def2-TZVPD basis set

Element x y z (Å)
1 C 0.57557 -0.73238 0.98126
2 C 0.91752 1.60396 -1.32433
3 O -0.26044 -1.64131 -1.32973
4 P -0.80948 -1.08918 -0.09276
5 S 1.34512 1.05676 0.21949
6 I 3.69915 -0.19694 0.01292
7 H 1.23849 -1.60697 0.82134
8 H 0.50939 -0.51343 1.98029
9 H 0.71678 1.12257 -2.27648
10 H 0.42703 2.62368 -1.36621
11 H -1.49944 -2.20548 0.70548
12 H -1.62444 0.01733 -0.28269

Computed properties:
LUMO (alpha / beta) (eV): -1.601 / -1.613
Total charge: 0
Highest occupied orbital energy (alpha / beta) (eV): -8.524 / -8.328
Frontier orbital gap (alpha / beta) (eV): 6.9 / 6.7


Formula: C2H6MnO9
Source: OMol25
Level of theory: ωB97M-V with the def2-TZVPD basis set

== Activity ==
The reader should restate only the lines earlier on with the word "Total" in them.

== Result ==
Total charge: 0
Total charge: 0
Total charge: 0
Total charge: +1
Total charge: 0
Total charge: 0